Entries
-- begin --
No. 1
## HfSiS2Cl (PBE)

Data for a relaxed structure of HfSiS2Cl.

Properties
Total magnetic moment   1.320 μB/cell
Total energy   -5.017 eV/atom

Geometry as POSCAR:
```
HfSiS2Cl
1.0
-1.9933 2.2528 3.4846
-2.1127 -3.8782 1.2988
3.4482 -1.0011 2.6197
Si S Cl Hf
1 2 1 1
Direct
0.0000 0.0000 0.0000
0.0000 0.5000 0.0000
0.5000 0.0000 0.0000
0.0000 0.0000 0.5000
0.5000 0.5000 0.5000
```

---

No. 2
## HfSnS2Cl (PBE)

Data for a relaxed structure of HfSnS2Cl.

Properties
Total magnetic moment   0.000 μB/cell
Total energy   -5.618 eV/atom

Geometry as POSCAR:
```
HfSnS2Cl
1.0
4.9746 0.0000 0.0000
0.0000 4.9746 0.0000
0.0000 0.0000 4.9314
Hf S Sn Cl
1 2 1 1
Direct
0.0000 0.0000 0.0000
0.0000 0.5000 0.0000
0.5000 0.0000 0.0000
0.5000 0.5000 0.5000
0.0000 0.0000 0.5000
```

---

No. 3
## HfSnSCl2 (PBE)

Data for a relaxed structure of HfSnSCl2.

Properties
Total magnetic moment   0.217 μB/cell
Total energy   -5.089 eV/atom

Geometry as POSCAR:
```
HfSnSCl2
1.0
4.9911 0.0000 0.0000
0.0000 4.9911 0.0000
0.0000 0.0000 4.9761
Hf Cl Sn S
1 2 1 1
Direct
0.0000 0.0000 0.0000
0.5000 0.0000 0.0000
0.0000 0.5000 0.0000
0.5000 0.5000 0.5000
0.0000 0.0000 0.5000
```

---

No. 4
## HfSnS2Cl (PBE)

Data for a relaxed structure of HfSnS2Cl.

Properties
Total magnetic moment   1.595 μB/cell
Total energy   -4.451 eV/atom

Geometry as POSCAR:
```
HfSnS2Cl
1.0
5.0452 0.0000 0.0000
0.0000 5.0452 0.0000
0.0000 0.0000 4.9573
Sn Hf S Cl
1 1 2 1
Direct
0.0000 0.0000 0.0000
0.5000 0.5000 0.5000
0.0000 0.5000 0.0000
0.5000 0.0000 0.0000
0.0000 0.0000 0.5000
```

* * * * *

(1)
DFT (GGA-PBEsol) results for a geometry-optimized CaTlPb2 structure.

Geometry as extended XYZ:
```
4
Lattice="5.472 0.000 0.000 2.736 4.739 0.000 2.736 1.580 4.468" Properties=species:S:1:pos:R:3 pbc="T T T"
Ca 5.472 3.159 2.234
Pb 0.000 0.000 0.000
Pb 8.208 4.739 3.351
Tl 2.736 1.580 1.117
```

**Raw total energy**: -3.4301 eV per atom
**Energy relative to the elements**: -0.240 eV/atom

=====

(2)
DFT (GGA-PBEsol) results for a geometry-optimized CaPb2W structure.

Geometry as extended XYZ:
```
4
Lattice="3.936 0.000 0.000 0.000 4.790 0.000 0.000 0.000 4.790" Properties=species:S:1:pos:R:3 pbc="T T T"
W 1.968 2.395 2.395
Pb 0.000 2.395 0.000
Pb 0.000 0.000 2.395
Ca 1.968 0.000 0.000
```

**E above lowest polymorph**: 29.6 meV per atom
**Raw total energy**: -5.3228 eV per atom
**Energy relative to the elements**: 0.662 eV/atom

=====

Which of these has the lowest energy relative to the elements? CaTlPb2

=====

Which of these has the highest energy relative to the elements? CaPb2W

=====

Copy entry 1 word for word.
DFT (GGA-PBEsol) results for a geometry-optimized CaTlPb2 structure.

Geometry as extended XYZ:
```
4
Lattice="5.472 0.000 0.000 2.736 4.739 0.000 2.736 1.580 4.468" Properties=species:S:1:pos:R:3 pbc="T T T"
Ca 5.472 3.159 2.234
Pb 0.000 0.000 0.000
Pb 8.208 4.739 3.351
Tl 2.736 1.580 1.117
```

**Raw total energy**: -3.4301 eV per atom
**Energy relative to the elements**: -0.240 eV/atom

* * * * *

[1]
Computed, not measured: an optimized crystal structure of LaTc4 at the PBEsol level of DFT.

Raw total energy (eV per atom): -9.960
M_tot (μB/atom): 0.000

a b c (Å): 5.9152 5.9152 5.9152
angles (deg): 137.38 137.38 61.86
Fractional coordinates of all 5 atoms:
La 0.0000 0.0000 0.0000
Tc 0.2500 0.7500 0.5000
Tc 0.3725 0.3725 0.0000
Tc 0.6275 0.6275 0.0000
Tc 0.7500 0.2500 0.5000

[2]
Computed, not measured: an optimized crystal structure of CsCaP3O9 at the PBEsol level of DFT.

Raw total energy (eV per atom): -7.307
Formation energy from raw total energies (eV per atom): -2.472
M_tot (μB/atom): 0.000

a b c (Å): 9.9541 7.5820 12.6782
angles (deg): 90.00 90.00 90.00
Fractional coordinates of all 56 atoms:
Cs 0.1036 0.2500 0.0860
Cs 0.3964 0.7500 0.5860
Cs 0.6036 0.2500 0.4140
Cs 0.8964 0.7500 0.9140
Ca 0.0133 0.7500 0.2222
Ca 0.4867 0.2500 0.7222
Ca 0.5133 0.7500 0.2778
Ca 0.9867 0.2500 0.7778
P 0.2118 0.2500 0.5430
P 0.2494 0.0521 0.3518
P 0.2494 0.4479 0.3518
-- stop --

Exercise
What is needed: start at the top of the block earlier on and repeat each line, ending with the one that has "all 56".

Reply
No. 1
## HfSiS2Cl (PBE)

Data for a relaxed structure of HfSiS2Cl.

Properties
Total magnetic moment   1.320 μB/cell
Total energy   -5.017 eV/atom

Geometry as POSCAR:
```
HfSiS2Cl
1.0
-1.9933 2.2528 3.4846
-2.1127 -3.8782 1.2988
3.4482 -1.0011 2.6197
Si S Cl Hf
1 2 1 1
Direct
0.0000 0.0000 0.0000
0.0000 0.5000 0.0000
0.5000 0.0000 0.0000
0.0000 0.0000 0.5000
0.5000 0.5000 0.5000
```

---

No. 2
## HfSnS2Cl (PBE)

Data for a relaxed structure of HfSnS2Cl.

Properties
Total magnetic moment   0.000 μB/cell
Total energy   -5.618 eV/atom

Geometry as POSCAR:
```
HfSnS2Cl
1.0
4.9746 0.0000 0.0000
0.0000 4.9746 0.0000
0.0000 0.0000 4.9314
Hf S Sn Cl
1 2 1 1
Direct
0.0000 0.0000 0.0000
0.0000 0.5000 0.0000
0.5000 0.0000 0.0000
0.5000 0.5000 0.5000
0.0000 0.0000 0.5000
```

---

No. 3
## HfSnSCl2 (PBE)

Data for a relaxed structure of HfSnSCl2.

Properties
Total magnetic moment   0.217 μB/cell
Total energy   -5.089 eV/atom

Geometry as POSCAR:
```
HfSnSCl2
1.0
4.9911 0.0000 0.0000
0.0000 4.9911 0.0000
0.0000 0.0000 4.9761
Hf Cl Sn S
1 2 1 1
Direct
0.0000 0.0000 0.0000
0.5000 0.0000 0.0000
0.0000 0.5000 0.0000
0.5000 0.5000 0.5000
0.0000 0.0000 0.5000
```

---

No. 4
## HfSnS2Cl (PBE)

Data for a relaxed structure of HfSnS2Cl.

Properties
Total magnetic moment   1.595 μB/cell
Total energy   -4.451 eV/atom

Geometry as POSCAR:
```
HfSnS2Cl
1.0
5.0452 0.0000 0.0000
0.0000 5.0452 0.0000
0.0000 0.0000 4.9573
Sn Hf S Cl
1 1 2 1
Direct
0.0000 0.0000 0.0000
0.5000 0.5000 0.5000
0.0000 0.5000 0.0000
0.5000 0.0000 0.0000
0.0000 0.0000 0.5000
```

* * * * *

(1)
DFT (GGA-PBEsol) results for a geometry-optimized CaTlPb2 structure.

Geometry as extended XYZ:
```
4
Lattice="5.472 0.000 0.000 2.736 4.739 0.000 2.736 1.580 4.468" Properties=species:S:1:pos:R:3 pbc="T T T"
Ca 5.472 3.159 2.234
Pb 0.000 0.000 0.000
Pb 8.208 4.739 3.351
Tl 2.736 1.580 1.117
```

**Raw total energy**: -3.4301 eV per atom
**Energy relative to the elements**: -0.240 eV/atom

=====

(2)
DFT (GGA-PBEsol) results for a geometry-optimized CaPb2W structure.

Geometry as extended XYZ:
```
4
Lattice="3.936 0.000 0.000 0.000 4.790 0.000 0.000 0.000 4.790" Properties=species:S:1:pos:R:3 pbc="T T T"
W 1.968 2.395 2.395
Pb 0.000 2.395 0.000
Pb 0.000 0.000 2.395
Ca 1.968 0.000 0.000
```

**E above lowest polymorph**: 29.6 meV per atom
**Raw total energy**: -5.3228 eV per atom
**Energy relative to the elements**: 0.662 eV/atom

=====

Which of these has the lowest energy relative to the elements? CaTlPb2

=====

Which of these has the highest energy relative to the elements? CaPb2W

=====

Copy entry 1 word for word.
DFT (GGA-PBEsol) results for a geometry-optimized CaTlPb2 structure.

Geometry as extended XYZ:
```
4
Lattice="5.472 0.000 0.000 2.736 4.739 0.000 2.736 1.580 4.468" Properties=species:S:1:pos:R:3 pbc="T T T"
Ca 5.472 3.159 2.234
Pb 0.000 0.000 0.000
Pb 8.208 4.739 3.351
Tl 2.736 1.580 1.117
```

**Raw total energy**: -3.4301 eV per atom
**Energy relative to the elements**: -0.240 eV/atom

* * * * *

[1]
Computed, not measured: an optimized crystal structure of LaTc4 at the PBEsol level of DFT.

Raw total energy (eV per atom): -9.960
M_tot (μB/atom): 0.000

a b c (Å): 5.9152 5.9152 5.9152
angles (deg): 137.38 137.38 61.86
Fractional coordinates of all 5 atoms:
La 0.0000 0.0000 0.0000
Tc 0.2500 0.7500 0.5000
Tc 0.3725 0.3725 0.0000
Tc 0.6275 0.6275 0.0000
Tc 0.7500 0.2500 0.5000

[2]
Computed, not measured: an optimized crystal structure of CsCaP3O9 at the PBEsol level of DFT.

Raw total energy (eV per atom): -7.307
Formation energy from raw total energies (eV per atom): -2.472
M_tot (μB/atom): 0.000

a b c (Å): 9.9541 7.5820 12.6782
angles (deg): 90.00 90.00 90.00
Fractional coordinates of all 56 atoms: